Acts 12:24--13:5
(Data records, kept here for reference)
/*
Below is a molecular structure, C30H84AlClF2N13O18P4S2, with properties calculated with the ωB97M-V functional and the def2-TZVPD basis.

Computed properties:
M ... 1203.536 g mol⁻¹
LUMO level ... -8.566 eV
Highest occupied orbital energy ... -9.948 eV
Orbital gap ... 1.4 eV
DFT total energy ... -6323.01831 hartree
Maximum force ... 9.1 eV/Å

Structure (ORCA input):
```
! wB97M-V def2-TZVPD RIJCOSX def2/J DEFGRID3
* xyz 1 1
Cl -5.206 -1.315 -1.927
S 0.485 2.194 -0.474
S -0.233 -0.042 0.031
P 5.984 -2.016 1.718
P 2.845 0.548 -4.605
P -3.973 3.524 -1.726
P -2.667 -5.761 3.187
Al -1.468 0.459 -3.692
F -1.567 -0.681 -0.526
F 0.835 2.977 -1.874
O -2.665 -7.036 2.381
O -5.885 -1.055 -0.668
O -4.859 -2.682 -2.074
O 1.388 0.371 -4.318
O -2.958 2.536 -2.160
O 6.584 -0.831 2.307
O -0.678 0.421 1.339
O -3.983 -0.566 -1.992
O 2.386 5.995 0.281
O 1.969 6.216 2.564
O -6.115 -1.003 -3.003
O -4.815 -0.668 5.545
O 0.577 7.089 0.976
O 0.699 -1.122 -0.056
O -3.291 0.786 4.603
O -4.330 -0.850 3.362
O -0.250 3.257 0.185
O 1.907 1.907 -0.070
N -0.191 1.055 -1.239
N -3.623 5.172 -1.937
N -4.116 -5.515 4.028
N 3.842 -0.424 -3.569
N 3.456 2.174 -4.397
N -2.375 -4.308 2.277
N 3.214 0.341 -6.264
N -5.390 3.419 -2.642
N -4.576 3.381 -0.186
N 4.401 -1.749 1.302
N 6.542 -2.319 0.083
N -1.488 -5.869 4.357
N 6.144 -3.461 2.624
C -2.418 -4.309 0.872
C 3.437 -2.817 1.174
C -5.763 4.193 0.354
C -0.133 -5.684 3.888
C -4.320 -4.318 4.851
C 2.692 3.435 -4.898
C 1.652 6.388 1.364
C 0.029 7.997 1.865
C 7.163 -1.271 -0.712
C 3.365 -0.953 -2.271
C -1.769 -3.121 2.941
C -6.365 2.328 -2.524
C -1.657 -6.940 5.292
C 6.008 -3.478 -0.684
C 5.079 -1.047 -4.125
C -4.818 -0.050 6.889
C -3.603 3.066 0.805
C 4.398 0.961 -6.958
C -4.647 6.235 -1.882
C 7.231 -4.421 2.379
C -3.909 -0.283 2.078
C 1.869 6.029 -1.023
C -2.213 5.606 -1.752
C 3.896 -0.392 0.981
C 4.854 2.408 -4.044
C 2.866 -0.965 -6.790
C -4.069 -0.124 4.513
C -5.331 3.938 -4.065
C 5.543 -3.465 3.993
C -5.327 -6.272 3.578
H 4.716 -2.041 -4.382
H -3.502 -4.223 5.565
H 4.993 2.303 -2.968
H 7.467 -4.623 1.334
H -6.146 -5.779 4.102
H 7.683 -0.505 -0.136
H -3.365 -4.683 0.485
H 1.815 -1.138 -6.558
H 0.715 8.332 2.643
H 0.368 -6.587 3.538
H -4.582 0.325 1.473
H 0.822 5.726 -0.989
H -4.386 7.079 -2.520
H -1.856 -7.845 4.719
H 3.085 -0.111 -1.637
H -7.157 2.651 -1.848
H 2.876 -0.294 0.610
H -6.785 2.045 -3.490
H -4.325 4.281 -4.309
H 4.138 -1.570 -1.812
H 4.728 -4.186 3.932
H -0.826 -2.859 2.460
H -5.519 -0.489 7.598
H 4.515 -0.056 0.149
H -5.434 -7.231 4.085
H 5.827 -4.221 0.093
H 6.785 -5.356 2.717
H 6.322 -3.729 4.709
H 3.031 -1.011 -7.867
H 3.147 -2.782 0.123
H 2.053 6.954 -1.569
H -1.869 5.269 -0.774
H 3.837 -3.798 1.433
H -3.538 -0.984 1.330
H -3.112 4.031 0.928
H -2.158 6.686 -1.888
H -3.846 -0.045 7.382
H 0.388 -5.355 4.787
H 2.489 3.495 -5.967
H 4.571 1.966 -6.575
H -0.183 8.885 1.269
H -5.463 -6.419 2.507
H 7.971 -1.648 -1.338
H 3.436 -1.704 -6.227
H 6.469 -0.753 -1.374
H -0.787 -7.052 5.939
H 2.479 -1.568 -2.421
H 2.662 -2.521 1.880
*/
Psalm 67:2-3, 5, 6, 8 John 12:44-50 How timely. Today�s readings, in both instances, evoked in me images of being called by God and then sent forth to proclaim and live out the Good News of Jesus Christ. In the first, there are some of the earliest disciples, fully open to the will of God, hearing the Holy Spirit announce �the work to which I have called them.� So off they go to faraway lands, with courage and joy, to spread the Gospel. In the second reading, there is Jesus describing himself as likewise sent, here by a loving Father who has sent His Son to bring to all creation the promise of eternal life. What makes such passages timely is that they come just as I finish participating in a two-day discussion on campus about vocations, what they are for all of us, and how we faculty and staff might serve our students in the choices they make. Thanks to the gentle insights of our discussion facilitator, I didn�t have to wallow for long in the embarrassing memories of the haphazard way that I went about making my own vocational decisions. Truth be told, for years I passively floated along the current of life, reaching out to take hold of this or that opportunity as it came by, but never really stopping long enough, at least not until well into midlife, to ask directly what is it that God calls me to do. While I don�t regret those early decisions, however unreflective, I was nevertheless relieved to hear that God probably doesn�t have some grand, pre-packaged plan for my life and that for most of us, there won�t be a grand moment of discovery, no bolt of lightening nor booming voice from on high that will inform us of the path to take. Rather, it seems that I am constantly being called by God to multiple vocations, callings that evolve and overlap throughout life. Right now, I am called to be father, to be college professor, to be a man loved by God. At the end, I suppose, I will be called to the vocation of a dying person. Thus, instead of happening all at once, vocations unfold gradually and beautifully, like a rose revealing one at a time its exquisite petals. In prayer today, therefore, I will not be listening for that loud
knock announcing some pivotal and momentous decision for me to make.
I will instead pray that I will be attentive to yet another light tap on
_Someone pasted records of molecules at this point_
'''
97
Properties=species:S:1:pos:R:3 method="wB97M-V/def2-TZVPD" homo_ev=-7.93 e_lumo_ev=-6.88 largest_force_ev_per_a=6.1 energy_ha=-5482.07822 gap_ha=0.0387 charge=0
C 4.538 1.060 -0.918
C 3.675 1.888 -1.991
C 2.209 1.256 -2.292
O 1.466 1.379 -1.040
C 0.082 0.924 -1.240
C -0.208 -0.286 -0.233
C 1.253 -0.797 0.221
O 2.006 -1.543 -0.445
N 1.372 -0.218 1.567
C 0.039 0.249 2.132
B 0.398 1.778 2.569
O 0.345 2.109 4.002
C 0.767 3.014 1.572
C 0.209 4.365 2.315
C -1.123 -0.082 1.081
C -1.491 -1.647 1.402
O -0.697 -2.410 2.037
N -2.750 -2.321 0.925
C -2.344 -3.170 -0.240
O -2.824 -2.991 -1.385
F -1.412 -4.261 -0.091
C -2.449 0.790 0.998
F -3.343 0.364 -0.056
F -2.222 2.185 0.672
C -3.347 0.804 2.339
F -4.627 0.221 2.056
F -3.660 2.176 2.690
F -2.729 0.256 3.475
H 4.839 1.711 -0.010
H 3.893 0.215 -0.491
H 5.459 0.545 -1.411
H 3.536 2.966 -1.564
H 4.312 1.988 -2.963
H 1.690 1.868 -3.132
H 2.356 0.149 -2.592
H -0.680 1.773 -1.246
H 0.070 0.481 -2.312
H -0.556 -1.148 -0.914
H 1.883 -0.891 2.160
H 0.039 -0.279 3.166
H 1.272 1.962 4.310
H 1.888 3.157 1.387
H 0.187 2.987 0.570
H 0.250 5.288 1.631
H -0.893 4.205 2.624
H 0.799 4.555 3.273
H -3.158 -2.924 1.660
Mg 4.294 3.536 -3.667
F -7.929 -0.484 3.299
Al -6.907 -0.979 4.660
F -7.843 -1.969 5.779
F -6.322 0.492 5.513
F -5.519 -1.898 4.062
B -4.916 -1.904 -5.747
O -4.481 -0.825 -4.853
C -3.146 -0.872 -4.787
O -2.475 -0.121 -4.132
C -2.654 -1.963 -5.627
O -1.505 -2.274 -5.790
O -3.695 -2.583 -6.204
F -5.626 -1.348 -6.897
F -5.757 -2.812 -5.052
Ca -6.698 2.390 5.071
F -3.223 0.056 8.032
P -4.206 -1.127 8.499
F -5.197 -0.016 7.882
F -3.302 -2.110 7.612
F -5.117 -1.060 9.819
F -3.172 -1.396 9.694
F -5.243 -2.217 7.945
F 6.894 -0.839 -1.216
C 0.561 6.933 -1.594
C 0.136 5.490 -1.932
O 1.120 4.676 -1.549
H 1.475 7.222 -2.123
H -0.227 7.634 -1.894
H 0.727 7.068 -0.520
H -0.135 5.509 -3.003
H -0.855 5.363 -1.458
Be -4.712 -1.177 -8.360
C -5.968 -5.316 2.172
O -5.186 -4.737 1.373
O -6.414 -4.482 3.123
O -6.364 -6.494 2.200
H -5.901 -3.729 2.756
C 8.249 -2.605 -4.178
C 8.971 -2.366 -3.012
C 10.318 -2.710 -2.945
C 10.946 -3.284 -4.048
C 10.225 -3.520 -5.214
C 8.875 -3.185 -5.278
H 7.198 -2.340 -4.228
H 8.482 -1.911 -2.154
H 10.880 -2.529 -2.035
H 11.998 -3.548 -3.997
H 10.715 -3.966 -6.074
H 8.312 -3.374 -6.186

73
Properties=species:S:1:pos:R:3 method="wB97M-V/def2-TZVPD" homo_ev="-8.14 / -8.15" multiplicity=4 s2=3.78 e_lumo_ev="0.09 / -0.24" largest_force_ev_per_a=0.9 energy_ha=-8063.75037 gap_ha="0.3024 / 0.2907" charge=0 e_above_lowest_kcal_mol=0.0
Cr -1.189 0.730 0.856
O -0.318 4.341 1.124
S -1.290 3.314 0.956
O -2.659 3.726 0.772
O -1.252 2.250 2.102
O -0.886 2.329 -0.184
N 6.483 -2.745 1.481
C 5.401 -1.898 1.666
C 5.192 -0.813 0.811
C 4.140 0.057 1.029
C 3.279 -0.144 2.098
C 3.489 -1.206 2.970
C 4.538 -2.078 2.752
S 1.925 0.958 2.338
O 2.104 2.056 1.440
O 1.772 1.178 3.745
N 0.627 0.091 1.767
C -0.044 -0.747 2.583
N 0.455 -1.449 3.611
C -0.399 -2.227 4.248
C -1.749 -2.361 3.912
C -2.184 -1.620 2.840
'''
_Here the entry continues_
life�s door. On hearing that call, my vocational decision will be
Calculated molecules, kept here for reference
........
Record 1
{
  "formula": "C30H36BrN3O2Tl",
  "method": "wB97M-V/def2-TZVPD",
  "species": ["C", "H", "C", "N", "H", "H", "H", "H", "H", "C", "C", "C", "C", "H", "C", "C", "C", "H", "H", "H", "C", "C", "N", "C", "H", "H", "H", "C", "H", "C", "C", "H", "H", "H", "H", "H", "C", "H", "H", "H", "C", "C", "C", "H", "H", "O", "Br", "H", "H", "H", "Tl", "C", "H", "H", "C", "C", "H", "C", "C", "H", "O", "H", "C", "H", "N", "H", "C", "C", "H", "C", "C", "H", "C"],
  "positions_angstrom": [[-4.9713, 3.3208, 0.7143], [-5.5660, 0.9682, -0.5054], [1.3827, -2.4526, 2.6249], [0.7044, 0.1485, -0.3178], [-0.9529, -3.3744, -2.1280], [-1.5666, 2.3631, 2.0882], [6.8680, 0.8179, 1.0582], [-2.9348, 0.2954, 1.2306], [2.0383, -3.2654, -2.9688], [-2.5698, 1.1112, -2.0855], [5.1891, 0.8293, -0.2749], [-4.1430, 2.5498, -0.2736], [0.7929, -2.8181, 1.4203], [7.6101, 3.0960, 0.3200], [1.1815, -4.8579, -1.2105], [4.8719, 2.6535, -1.5741], [3.5013, -2.2861, 1.5314], [-2.2705, -0.5878, -3.4376], [-5.3284, -0.9098, -1.7065], [-0.3232, 0.5276, 4.1905], [-2.8999, 3.0262, -0.6762], [-0.5767, -3.0902, -1.1435], [-0.8668, 0.4540, 1.5649], [2.9056, -2.6397, 0.3316], [0.1727, 2.0928, 2.3487], [-2.0209, -1.2170, 1.0527], [-1.6400, -1.3483, 3.4602], [-2.0959, 2.3370, -1.5769], [3.1991, -1.8915, 3.6258], [6.7296, 2.6319, -0.1070], [5.9948, 3.3012, -1.0657], [-1.1277, -3.6729, -0.3984], [-0.2707, -3.0226, 1.4042], [-4.8769, 4.3962, 0.5560], [3.4952, -2.7033, -0.5771], [-2.5516, 3.9787, -0.2903], [2.7395, -2.1795, 2.6884], [-1.1845, 2.0566, 4.5019], [6.2639, 4.2868, -1.4151], [0.7305, -5.4029, -0.3755], [0.9414, -3.3400, -1.0947], [-0.8158, 1.6382, 2.4200], [-1.1202, 1.1950, 3.8372], [4.8203, -0.1473, 0.0176], [-4.5725, -0.6667, -3.2794], [-2.3697, 0.5337, 3.9056], [3.8233, 3.5556, -2.8755], [-0.7939, -2.0295, -0.9986], [0.7496, -5.2296, -2.1431], [-0.6967, 3.9474, -1.5359], [1.9072, -0.2878, -2.7202], [-0.0538, 0.3204, 0.5385], [-6.0248, 3.0491, 0.6542], [-3.3809, -1.0666, 3.2011], [-4.3838, -0.6966, -2.2039], [-2.1176, -0.3033, 1.6418], [0.0591, 2.3446, -1.6379], [-1.7876, 0.3347, -3.0735], [1.5672, -2.5780, -2.2519], [-4.6359, 3.1111, 1.7345], [-0.6955, 0.6404, -3.5155], [-0.6824, 3.0271, -3.0565], [-3.8241, 0.6102, -1.6936], [0.7736, -2.3795, 3.5186], [4.4760, 1.4620, -1.2063], [4.5676, -2.0916, 1.5700], [-0.7818, 2.9528, -1.9746], [-2.3873, -0.6307, 3.0971], [2.2519, -5.0744, -1.2200], [6.3242, 1.3703, 0.3045], [1.5377, -2.9024, 0.2474], [-3.7138, -1.5370, -2.0105], [-4.5939, 1.3456, -0.8010]],
  "orbital_gap_ev": [3.204, 6.175],
  "e_lumo_ev": [2.31, 2.31],
  "homo_ev": [-0.89, -3.86],
  "charge": -1
}

Record 2
{
  "formula": "C28H84O28",
  "method": "wB97M-V/def2-TZVPD",
........
about my response. Today, on this occasion and at this moment, will
I be brave enough to say yes to what God is asking of me?